== Entries ==
# 1
# PBE-GGA Al2VGa4, optimized geometry
# **Calculated formation energy**: 4.53 kcal/mol of atoms
# **Uncorrected energy**: -54.672 eV per cell
data_Al2VGa4
_chemical_formula_sum 'Al4 V2 Ga8'
_symmetry_space_group_name_H-M 'I 4/m m m'
_symmetry_Int_Tables_number 139
_symmetry_space_group_name_Hall '-I 4 2'
_cell_length_a 6.831
_cell_length_b 6.831
_cell_length_c 5.091
_cell_angle_alpha 90.00
_cell_angle_beta 90.00
_cell_angle_gamma 90.00
loop_
_atom_site_label
_atom_site_type_symbol
_atom_site_fract_x
_atom_site_fract_y
_atom_site_fract_z
Al1 Al 0.000 0.500 0.250
V1 V 0.000 0.000 0.000
Ga1 Ga 0.196 0.196 0.500



# 2
# PBE-GGA AlVGa, optimized geometry
# **Calculated formation energy**: -4.18 kcal/mol of atoms
# **Uncorrected energy**: -65.728 eV per cell
data_AlVGa
_chemical_formula_sum 'Al4 V4 Ga4'
_symmetry_space_group_name_H-M 'C m m m'
_symmetry_Int_Tables_number 65
_symmetry_space_group_name_Hall '-C 2 2'
_cell_length_a 5.370
_cell_length_b 12.907
_cell_length_c 2.706
_cell_angle_alpha 90.00
_cell_angle_beta 90.00
_cell_angle_gamma 90.00
loop_
_atom_site_label
_atom_site_type_symbol
_atom_site_fract_x
_atom_site_fract_y
_atom_site_fract_z
Al1 Al 0.000 0.154 0.000
V1 V 0.242 0.000 0.500
Ga1 Ga 0.000 0.352 0.000

* * * * *

Record 1
Entry from the Alexandria database: a relaxed LuPu2Rh crystal (GGA-PBE).

Properties
final energy: -10.01 eV per atom
SG: R-3m, No. 166

Cell lengths 3.424, 3.424, 10.386 Å; angles 80.51, 80.51, 60.00 degrees
Site moments in Bohr magnetons follow the coordinates.
Fractional positions:
Lu (0.000, 0.000, 0.000)  -0.01
Rh (0.500, 0.500, 0.500)  0.28
Pu (0.102, 0.102, 0.695)  -5.43
Pu (0.898, 0.898, 0.305)  -5.43


Record 2
Entry from the Alexandria database: a relaxed Lu2PuRh crystal (GGA-PBE).

Properties
SG: P4/mmm, No. 123
ΔE to the lowest computed polymorph: 0 meV/atom

Cell lengths 3.345, 3.345, 8.550 Å; angles 90.00, 90.00, 90.00 degrees
Site moments in Bohr magnetons follow the coordinates.
Fractional positions:
Lu (0.000, 0.000, 0.806)  -0.14
Lu (0.000, 0.000, 0.194)  -0.14
Rh (0.500, 0.500, 0.000)  0.03
Pu (0.500, 0.500, 0.500)  -5.61


Record 3
Entry from the Alexandria database: a relaxed LuPuRuRh crystal (GGA-PBE).

Properties
final energy: -9.38 eV per atom
SG: F-43m, No. 216

Cell lengths 4.767, 4.767, 4.767 Å; angles 60.00, 60.00, 60.00 degrees
Site moments in Bohr magnetons follow the coordinates.
Fractional positions:
Ru (0.750, 0.750, 0.750)  -0.35
Lu (0.500, 0.500, 0.500)  0.06
Rh (0.250, 0.250, 0.250)  -0.16
Pu (0.000, 0.000, 0.000)  4.88


Record 4
Entry from the Alexandria database: a relaxed LuPuSnRh crystal (GGA-PBE).

Properties
final energy: -7.97 eV per atom
SG: F-43m, No. 216

Cell lengths 5.065, 5.065, 5.065 Å; angles 60.00, 60.00, 60.00 degrees
Site moments in Bohr magnetons follow the coordinates.
Fractional positions:
Lu (0.000, 0.000, 0.000)  0.03
Rh (0.750, 0.750, 0.750)  -0.37
Sn (0.250, 0.250, 0.250)  -0.10
Pu (0.500, 0.500, 0.500)  5.22


Record 5
Entry from the Alexandria database: a relaxed LuPuTlRh crystal (GGA-PBE).

Properties
final energy: -7.39 eV per atom
SG: F-43m, No. 216

Cell lengths 5.086, 5.086, 5.086 Å; angles 60.00, 60.00, 60.00 degrees
Site moments in Bohr magnetons follow the coordinates.
Fractional positions:
Tl (0.750, 0.750, 0.750)  0.00
Lu (0.500, 0.500, 0.500)  0.05
Rh (0.250, 0.250, 0.250)  -0.21
Pu (0.000, 0.000, 0.000)  5.25


Record 6
Entry from the Alexandria database: a relaxed LuPuRu2 crystal (GGA-PBE).

Properties
SG: P4/mmm, No. 123
ΔE to the lowest computed polymorph: 17 meV/atom

Cell lengths 3.344, 3.344, 6.761 Å; angles 90.00, 90.00, 90.00 degrees
Site moments in Bohr magnetons follow the coordinates.
Fractional positions:
Ru (0.000, 0.000, 0.740)  -0.45
Ru (0.000, 0.000, 0.260)  -0.45
Lu (0.500, 0.500, 0.000)  0.08
Pu (0.500, 0.500, 0.500)  4.70


Values of magnetization, in order: 11.2 6.4 4.6 5.0 5.3 4.0, all in μB per cell.
Values of DOS(E_F), in order: 3.944 2.017 1.533 2.156 2.262 1.608, all in states/eV/atom.
== Brief ==
Now restate the block earlier on exactly.
== Solution ==
# 1
# PBE-GGA Al2VGa4, optimized geometry
# **Calculated formation energy**: 4.53 kcal/mol of atoms
# **Uncorrected energy**: -54.672 eV per cell
data_Al2VGa4
_chemical_formula_sum 'Al4 V2 Ga8'
_symmetry_space_group_name_H-M 'I 4/m m m'
_symmetry_Int_Tables_number 139
_symmetry_space_group_name_Hall '-I 4 2'
_cell_length_a 6.831
_cell_length_b 6.831
_cell_length_c 5.091
_cell_angle_alpha 90.00
_cell_angle_beta 90.00
_cell_angle_gamma 90.00
loop_
_atom_site_label
_atom_site_type_symbol
_atom_site_fract_x
_atom_site_fract_y
_atom_site_fract_z
Al1 Al 0.000 0.500 0.250
V1 V 0.000 0.000 0.000
Ga1 Ga 0.196 0.196 0.500



# 2
# PBE-GGA AlVGa, optimized geometry
# **Calculated formation energy**: -4.18 kcal/mol of atoms
# **Uncorrected energy**: -65.728 eV per cell
data_AlVGa
_chemical_formula_sum 'Al4 V4 Ga4'
_symmetry_space_group_name_H-M 'C m m m'
_symmetry_Int_Tables_number 65
_symmetry_space_group_name_Hall '-C 2 2'
_cell_length_a 5.370
_cell_length_b 12.907
_cell_length_c 2.706
_cell_angle_alpha 90.00
_cell_angle_beta 90.00
_cell_angle_gamma 90.00
loop_
_atom_site_label
_atom_site_type_symbol
_atom_site_fract_x
_atom_site_fract_y
_atom_site_fract_z
Al1 Al 0.000 0.154 0.000
V1 V 0.242 0.000 0.500
Ga1 Ga 0.000 0.352 0.000

* * * * *

Record 1
Entry from the Alexandria database: a relaxed LuPu2Rh crystal (GGA-PBE).

Properties
final energy: -10.01 eV per atom
SG: R-3m, No. 166

Cell lengths 3.424, 3.424, 10.386 Å; angles 80.51, 80.51, 60.00 degrees
Site moments in Bohr magnetons follow the coordinates.
Fractional positions:
Lu (0.000, 0.000, 0.000)  -0.01
Rh (0.500, 0.500, 0.500)  0.28
Pu (0.102, 0.102, 0.695)  -5.43
Pu (0.898, 0.898, 0.305)  -5.43


Record 2
Entry from the Alexandria database: a relaxed Lu2PuRh crystal (GGA-PBE).

Properties
SG: P4/mmm, No. 123
ΔE to the lowest computed polymorph: 0 meV/atom

Cell lengths 3.345, 3.345, 8.550 Å; angles 90.00, 90.00, 90.00 degrees
Site moments in Bohr magnetons follow the coordinates.
Fractional positions:
Lu (0.000, 0.000, 0.806)  -0.14
Lu (0.000, 0.000, 0.194)  -0.14
Rh (0.500, 0.500, 0.000)  0.03
Pu (0.500, 0.500, 0.500)  -5.61


Record 3
Entry from the Alexandria database: a relaxed LuPuRuRh crystal (GGA-PBE).

Properties
final energy: -9.38 eV per atom
SG: F-43m, No. 216

Cell lengths 4.767, 4.767, 4.767 Å; angles 60.00, 60.00, 60.00 degrees
Site moments in Bohr magnetons follow the coordinates.
Fractional positions:
Ru (0.750, 0.750, 0.750)  -0.35
Lu (0.500, 0.500, 0.500)  0.06
Rh (0.250, 0.250, 0.250)  -0.16
Pu (0.000, 0.000, 0.000)  4.88


Record 4
Entry from the Alexandria database: a relaxed LuPuSnRh crystal (GGA-PBE).

Properties
final energy: -7.97 eV per atom
SG: F-43m, No. 216

Cell lengths 5.065, 5.065, 5.065 Å; angles 60.00, 60.00, 60.00 degrees
Site moments in Bohr magnetons follow the coordinates.
Fractional positions:
Lu (0.000, 0.000, 0.000)  0.03
Rh (0.750, 0.750, 0.750)  -0.37
Sn (0.250, 0.250, 0.250)  -0.10
Pu (0.500, 0.500, 0.500)  5.22


Record 5
Entry from the Alexandria database: a relaxed LuPuTlRh crystal (GGA-PBE).

Properties
final energy: -7.39 eV per atom
SG: F-43m, No. 216

Cell lengths 5.086, 5.086, 5.086 Å; angles 60.00, 60.00, 60.00 degrees
Site moments in Bohr magnetons follow the coordinates.
Fractional positions:
Tl (0.750, 0.750, 0.750)  0.00
Lu (0.500, 0.500, 0.500)  0.05
Rh (0.250, 0.250, 0.250)  -0.21
Pu (0.000, 0.000, 0.000)  5.25


Record 6
Entry from the Alexandria database: a relaxed LuPuRu2 crystal (GGA-PBE).

Properties
SG: P4/mmm, No. 123
ΔE to the lowest computed polymorph: 17 meV/atom

Cell lengths 3.344, 3.344, 6.761 Å; angles 90.00, 90.00, 90.00 degrees
Site moments in Bohr magnetons follow the coordinates.
Fractional positions:
Ru (0.000, 0.000, 0.740)  -0.45
Ru (0.000, 0.000, 0.260)  -0.45
Lu (0.500, 0.500, 0.000)  0.08
Pu (0.500, 0.500, 0.500)  4.70


Values of magnetization, in order: 11.2 6.4 4.6 5.0 5.3 4.0, all in μB per cell.
Values of DOS(E_F), in order: 3.944 2.017 1.533 2.156 2.262 1.608, all in states/eV/atom.